
Now that you mention it, I think so! Good memory, I thought I had the first season still fresh in my mind. He looked exhausted in that truck, so I'm leaning towards the "he escaped" possibility, only by failing to flee the cops you get that look on your face!

I watched Tinker Tailor Soldier Spy next to two stoners who had absolutely no clue of why were they there, or what the fuck were they watching. It was funny at first, defeating at the end.

1. Had to read twice in order not to confuse him with the great Tom Hollander
2. :'(
9. Our legendary General Perón, though totally not Latin-American, nor even remotely similar to the actual guy. Good job, Evita.
13. Odo was one of my crushes growing up. Also, loved him as Dee's fed up drama teacher on Sunny.

Remember Varga has some weight issues (he appears to be a bulk eater/massive purger), so for him a little weight on the face means already that you need to be in The Biggest Loser.

Hopefully Officer Deputy ends up killing Yuria, as Grimly did with Malvo after initially getting too scared to stop the beast before the rampage.

Mr. Wrench was in the hospital after surviving the snow shootout that ended up with Malvo killing his bff/henchpartner Mr. Numbers, Molly told him they'd talk again and that was the end for Wrench's storyline.

What bugged me the most about the DJ Qualls thing is that we had never seen this guy before, we don't know if he was a member of Varga's team (which sounds odd, considering he's always seen with the henchmen duo) or a bribed copper (and wouldn't that be easy to single out, I mean, Qualls is a very not average looking

<<<
# 1
6
Properties=species:S:1:pos:R:3:forces:R:3:mulliken_spin:R:1 method="wB97M-V/def2-TZVPD" lumo_energy_ev="-1.369 / -1.399" e_above_lowest_kcal_mol=0.0 spin_multiplicity=2 largest_force_ev_per_a=4.9 total_charge=0
C -0.509 -0.514 -0.028 -0.86 1.10 0.25 0.359
H -0.988 -1.500 0.061 0.54 0.30 -0.16 0.064
Y 1.540 0.836 0.079 2.20 -4.35 -0.40 0.064
O 2.694 -0.808 -0.055 -2.31 3.85 0.31 0.166
H -1.848 1.260 -0.004 0.26 -0.16 -0.10 0.079
C -0.889 0.725 -0.053 0.18 -0.75 0.11 0.268

---

# 2
99
Properties=species:S:1:pos:R:3:forces:R:3:mulliken_charge:R:1 method="wB97M-V/def2-TZVPD" lumo_energy_ev=0.333 e_above_lowest_kcal_mol=55.4 largest_force_ev_per_a=1.6 total_charge=0
H 9.550 -6.330 -4.027 0.20 -0.23 -0.11 0.203
C 11.632 -6.474 -10.895 -0.22 0.19 0.54 -1.008
C 15.161 -7.337 -5.144 -0.56 0.64 0.37 0.492
C 15.194 -10.927 -3.900 0.22 -0.12 -0.11 0.616
H 17.260 -9.056 -6.517 0.13 0.10 -0.19 0.201
O 17.172 -8.303 -11.385 0.00 -0.03 -0.06 -0.506
H 15.150 -12.706 -5.054 -0.03 -0.02 -0.07 0.341
H 15.332 -3.467 -6.388 -0.33 -0.01 -0.11 0.154
H 15.048 -4.216 -7.986 -0.02 -0.11 0.13 -0.385
C 12.131 -5.400 -9.947 0.56 -0.19 -0.15 -0.327
O 16.497 -9.129 -1.527 0.16 0.05 0.04 -0.579
C 15.952 -2.261 -8.080 -0.47 0.02 0.29 -1.279
H 13.368 -3.124 -1.359 0.28 0.03 0.03 0.273
H 15.616 -3.077 -2.447 -0.20 0.10 -0.06 0.419
H 17.997 -7.679 0.257 -0.03 0.00 -0.02 0.286
H 15.432 -6.356 -4.747 0.46 -0.06 -0.23 -0.069
H 15.638 -8.118 -4.553 0.03 0.02 0.05 -0.406
C 19.831 -9.438 -6.515 -0.45 0.17 -0.07 -0.927
H 13.120 -8.921 -2.221 -0.04 0.20 0.38 0.222
H 16.238 -1.491 -7.363 0.27 -0.05 -0.05 0.302
H 12.391 -4.499 -10.507 -0.22 0.12 0.08 0.318
H 12.256 -8.458 -3.659 -0.03 -0.05 0.05 -0.043
H 9.393 -5.155 -5.324 0.08 -0.13 -0.13 0.428
H 19.613 -9.389 -5.448 0.10 -0.23 0.06 0.188
H 9.792 -9.802 -3.757 -0.03 0.07 0.02 0.295
H 20.783 -9.940 -6.676 0.14 0.18 -0.03 0.375
H 14.076 -7.344 -4.989 0.08 -0.45 0.14 -0.073
H 21.186 -5.990 -9.393 -0.05 -0.13 -0.09 0.376
H 18.715 -9.235 -0.131 0.12 -0.04 -0.11 0.315
C 11.053 -9.581 -2.292 0.73 -0.71 -0.23 -0.583
C 14.971 -3.947 -2.604 0.57 0.16 0.08 -0.612
C 17.656 -8.323 -1.774 -0.60 -0.28 0.13 0.364
H 18.610 -9.755 -8.250 0.13 -0.33 -0.15 -0.228
H 11.288 -6.886 -5.734 0.04 0.05 -0.07 0.375
O 17.450 -10.003 -6.579 0.07 -0.40 0.05 -0.311
H 14.746 -9.941 -3.757 -0.38 -0.11 -0.29 -0.318
O 9.827 -9.269 -2.959 0.09 0.08 0.38 -0.503
H 13.634 -11.816 -5.159 -0.03 0.13 0.09 0.376
H 17.291 -7.333 -2.064 0.26 0.09 -0.08 0.148
C 15.733 -3.604 -7.391 0.69 0.11 -0.20 0.808
C 18.508 -8.242 -0.526 -0.04 0.26 -0.05 -1.273
H 16.466 -9.785 -2.232 0.13 -0.02 -0.05 0.389
H 11.405 -7.365 -10.308 0.13 -0.15 -0.15 0.276
H 15.261 -8.118 -9.599 -0.43 0.07 -0.06 -0.141
H 14.960 -8.486 -6.920 0.82 -0.32 0.19 0.275
H 16.706 -6.445 -7.480 0.45 0.16 0.22 -0.072
C 10.079 -5.545 -4.568 -0.37 0.57 0.70 -0.524
O 16.715 -7.327 -7.088 -0.43 -0.34 0.11 -0.182
H 15.014 -1.923 -8.529 0.08 -0.01 -0.12 0.370
H 16.958 -10.863 -4.848 -0.19 0.34 -0.09 0.258
>>>

The cinematography looked spot on in that scene, it all looked like a Grinch made Christmas postcard!

The accountant Meemo scene is the only genuine scene I remember of the character, it has been written with so little motivation other than pushing the plot along, that he keeps getting lost in my mind. Yuria is more memorable just because he's a big scary russian dude, not because he's been written much better.

The air conditioner can be tied to Nikki via the fake ID she showed the landlord, I'm sure that was not the only use for that ID, and that there are records of whatever the fake name was with her picture besides it. Also, Gloria could visit the building, show the landlord a picture of Nikki and that's pretty much all

Molly promised that they would meet again sometime and I sure want that reunion to happen! Also, it would be pretty damn great if he was the key to find a kidnapped Nikki, getting his revenge on the next worst thing after his enemy, Malvo.

Oh, but he gave Whip a family! A family, dude! A family he didn't get to enjoy as Michael got him in the middle of a shootout and basically sent him to his very stupid death! The show couldn't even make the happy families visit Whip's grave at the end! At least someone will remember him: his sexual predator of a

Ah, so it's a Blindspot level bullshit tattoo. Crossover incoming, maybe?*

There might have been a lack of cracking sounds there on that death, my ears were still buzzing after Knepper's ridiculously overacted "DAVID!!!!!"'s. Really, those screams were so off that I thought the gang was faking the whole thing, until they actually showed they gave zero fucks about the guy's death, as usual

15
Properties=species:S:1:pos:R:3 method="wB97M-V/def2-TZVPD" multiplicity=1
C -1.7833 -0.2106 -0.1079
C -0.5616 0.6958 -0.2221
O -0.2553 1.3214 1.0047
C 0.6763 -0.0146 -0.8012
C 2.2559 -0.5530 1.0638
N 1.3258 -0.8765 0.1919
H -2.6306 0.3646 0.2758
H -2.0607 -0.6240 -1.0842
H -1.6053 -1.0458 0.5812
H -0.8023 1.5178 -0.9052
H 0.0118 0.6306 1.6292
H 0.4009 -0.6151 -1.6752
H 2.4972 0.5122 0.8458
H 1.4147 0.7308 -1.1081
H 0.9798 -1.8306 0.2273

***

15
Properties=species:S:1:pos:R:3 method="wB97M-V/def2-TZVPD" multiplicity=1
H 0.5773 0.0806 1.5588
N 0.5897 0.7188 0.7631
C 1.2406 0.2534 -0.2238
C 2.0725 -0.9881 -0.2380
H 1.2067 0.8408 -1.1513
H 2.1655 -1.4290 -1.2344
H 1.6889 -1.7374 0.4619
H 3.0700 -0.6817 0.0918
C -2.1446 0.2057 0.5068
C -1.2870 0.7411 -0.6114
O -1.2548 1.8794 -1.0066
H -1.8100 -0.7847 0.8383
H -3.1321 0.0967 0.0500
H -2.2148 0.8860 1.3570
H -0.7679 -0.0816 -1.1621

***

15
Properties=species:S:1:pos:R:3 method="wB97M-V/def2-TZVPD" multiplicity=1
C 0.2982 0.6160 1.3423
C -0.0285 -0.2571 0.1716
C 0.7796 -1.5077 -0.0285
N -1.2816 -0.1400 -0.3382
C -0.7591 1.1860 -1.1031
O -1.0850 2.2843 -0.6526
H 1.3714 0.6185 1.5514
H -0.2416 0.2320 2.2155
H -0.0699 1.6327 1.1487
H 0.4596 0.8757 -0.9732
H 0.7091 -1.8926 -1.0500
H 0.3610 -2.2674 0.6469
H 1.8292 -1.3658 0.2398
H -1.4788 -0.8744 -1.0169
H -0.8636 0.8597 -2.1539

***

15
Properties=species:S:1:pos:R:3 method="wB97M-V/def2-TZVPD" smiles="C/C=N/C=O.C" multiplicity=1
C 2.1192 0.0543 0.0863
C 0.8723 0.8708 -0.0034
N 0.0059 0.8802 0.9291
C -1.1081 1.7200 0.7444
O -1.0685 2.8568 0.3405
H 2.2761 -0.5083 -0.8401
H 2.0645 -0.6322 0.9336
H 2.9875 0.7128 0.2148
H 0.7216 1.4669 -0.9147
H -2.0498 1.2341 1.0504
C -1.3644 -1.7318 -0.5056
H -0.4909 -1.7022 -1.1629
H -1.0436 -1.5962 0.5301
H -2.0550 -0.9305 -0.7837
H -1.8669 -2.6948 -0.6188

***

15
Properties=species:S:1:pos:R:3 method="wB97M-V/def2-TZVPD" multiplicity=1
N -0.5811 1.5969 -0.5862
C -0.5116 0.2675 -0.0801
C 0.4879 0.0779 0.9167
C -1.8779 -0.4698 0.2586
C -1.1303 -0.8376 -0.9209
H -0.6495 1.4610 -1.5828
H 0.1934 2.1654 -0.2841
H 0.2731 -0.7035 1.6410
H 0.9126 0.9401 1.4075
H -2.5266 0.3779 0.4451
H -2.2668 -1.3486 0.7812
H -0.2848 -1.4256 -1.2586
H 1.4852 -0.3852 0.3003
H 2.8440 -1.5014 0.5355
O 2.7761 -0.6159 0.1557

***

15
Properties=species:S:1:pos:R:3 method="wB97M-V/def2-TZVPD" smiles="CC/N=C/OC" multiplicity=1
C -1.4542 1.2598 -1.3026
C -0.3345 0.2366 -1.4658
N 0.0260 -0.3692 -0.1922
C 0.9870 0.1698 0.4247
O 1.4633 -0.2661 1.5975
C 0.8789 -1.4697 2.0842
H -1.1128 2.1129 -0.7045
H -1.7795 1.6346 -2.2792
H -2.3160 0.8130 -0.7967
H 0.5298 0.7162 -1.9536
H -0.6671 -0.5665 -2.1322
H 1.5558 1.0446 0.0853
H 1.4245 -1.7164 2.9960
H 0.9839 -2.2689 1.3438
H -0.1852 -1.3305 2.2951

***

15
Properties=species:S:1:pos:R:3 method="wB97M-V/def2-TZVPD" smiles=CN1CC(O)C1 multiplicity=1
C -1.9193 -0.0212 0.2667
N -0.5008 0.0542 0.5197
C 0.3299 -1.0472 0.0115
C 1.3862 -0.0187 -0.4431
O 2.5038 0.1234 0.3940
C 0.2764 1.0360 -0.2530

I mean, did Michael actually have the face tattoo before? I paid zero attention to his hands other than the palms this season, and it's also quite absurd to think that any tattoo artist will draw you in the exact same position of the dots you want without messing up a milimeter and, therefore, shitting all over

I want a reality show in where Sucre rates your sex doll business.
"That's a no for me, papi"

I have Black Pearl on VHS (yeah, laugh at still-owning VHS Whistler) because I had gotten so pumped by the movie, it was such a fun time in the cinema, that the second it came out on video I bought the living shit outta it.

Happy belated birthday, BFF3D! I'm happy to see you had a fun day!

Bill Nighy was covered in CGI tentacles and slayed with his Davy Jones. (not the Monkees one)

More like sleepwalked! Honestly, there was ripe potential for a Bardem Ham, and yet I didn't feel like Captain Salazar was even there, the guy looked as if he saw the money light and just walked to it.